Your job: transcribe every line further down that contains the word "pattern".
┌──
# Na2Sr6PtRh
Computed powder X-ray diffraction pattern, CuKα. Input: a DFT-relaxed cell (PBE, Alexandria).
Intensities are scaled so that the largest is 100.

Peak list (10 most intense, 2θ = 10–90°, in order of rising 2θ)
Position (°2θ)	I (rel.)
14.8	100
21.0	12
29.9	80
33.5	19
33.6	32
42.9	40
45.5	14
45.7	12
53.1	11
70.6	13

Atomic structure:
```
Na2Sr6PtRh
1.0
5.9631 -5.9665 0.0000
5.9631 5.9665 0.0000
-5.9268 0.0000 5.9727
Na Sr Pt Rh
2 6 1 1
Direct
0.2500 0.7500 0.0000
0.7500 0.2500 0.0000
0.2486 0.2486 0.5015
0.2485 0.2485 0.9970
0.2486 0.7530 0.5013
0.7530 0.2486 0.5013
0.7530 0.7530 0.0060
0.7529 0.7529 0.5012
0.5009 0.5009 0.5016
0.0008 0.0008 0.5014
```

* * * * *

Structure and simulated PXRD pattern of NaCuAgSn (a cell relaxed with PBE; Cu Kα (weighted mean of Kα1 and Kα2)).

Top 10 peaks for 15° ≤ 2θ ≤ 90°, by intensity:
(2 2 0), 2θ = 37.70°, I = 100
(4 2 2), 2θ = 68.06°, I = 34
(1 1 1), 2θ = 22.82°, I = 25
(4 0 0), 2θ = 54.38°, I = 17
(3 1 1), 2θ = 44.53°, I = 13
(4 4 0), 2θ = 80.51°, I = 11
(3 3 1), 2θ = 59.73°, I = 6
(5 3 1), 2θ = 85.03°, I = 5
(5 1 1), 2θ = 72.82°, I = 5
(2 0 0), 2θ = 26.41°, I = 2

```
data_NaCuAgSn
_cell_length_a 6.7487
_cell_length_b 6.7487
_cell_length_c 6.7487
_cell_angle_alpha 90.00
_cell_angle_beta 90.00
_cell_angle_gamma 90.00
_symmetry_space_group_name_H-M 'F -4 3 m'
_symmetry_Int_Tables_number 216
_symmetry_space_group_name_Hall 'F -4 2 3'
loop_
_atom_site_label
_atom_site_fract_x
_atom_site_fract_y
_atom_site_fract_z
Na1 0.0000 0.0000 0.0000
Cu1 0.2500 0.2500 0.2500
Ag1 0.2500 0.2500 0.7500
Sn1 0.0000 0.0000 0.5000
```

=====

Structure and simulated PXRD pattern of ZrTc2Rh (a cell relaxed with PBE; Cu Kα (weighted mean of Kα1 and Kα2)).

Top 12 peaks for 15° ≤ 2θ ≤ 90°, by intensity:
(1 1 0), 2θ = 39.16°, I = 100
(0 1 2), 2θ = 38.22°, I = 97
(1 0 2), 2θ = 44.46°, I = 63
(2 0 0), 2θ = 65.92°, I = 48
(0 2 0), 2θ = 46.02°, I = 31
(2 1 2), 2θ = 78.89°, I = 22
(1 1 4), 2θ = 77.09°, I = 17
(1 3 0), 2θ = 80.55°, I = 12
(0 0 1), 2θ = 15.09°, I = 11
(0 3 2), 2θ = 79.96°, I = 11
(2 2 0), 2θ = 84.17°, I = 10
(0 0 4), 2θ = 63.38°, I = 8

```
data_ZrTc2Rh
_cell_length_a 2.8319
_cell_length_b 3.9443
_cell_length_c 5.8697
_cell_angle_alpha 90.00
_cell_angle_beta 90.00
_cell_angle_gamma 90.00
_symmetry_space_group_name_H-M 'P m m m'
_symmetry_Int_Tables_number 47
_symmetry_space_group_name_Hall '-P 2 2'
loop_
_atom_site_label
_atom_site_fract_x
_atom_site_fract_y
_atom_site_fract_z
Zr1 0.0000 0.0000 0.0000
Tc1 0.5000 0.5000 0.2851
Rh1 0.0000 0.0000 0.5000
```

=====

Structure and simulated PXRD pattern of La2Ga10Ni (a cell relaxed with PBE; Cu Kα (weighted mean of Kα1 and Kα2)).

Top 12 peaks for 15° ≤ 2θ ≤ 90°, by intensity:
(2 0 0), 2θ = 41.23°, I = 100
(1 1 4), 2θ = 31.92°, I = 96
(1 0 7), 2θ = 31.31°, I = 81
(1 1 6), 2θ = 35.45°, I = 46
(1 1 10), 2θ = 45.14°, I = 39
(2 1 7), 2θ = 52.66°, I = 37
(2 2 0), 2θ = 59.72°, I = 33
(1 0 13), 2θ = 49.49°, I = 21
(3 1 4), 2θ = 69.33°, I = 20
(1 0 11), 2θ = 42.98°, I = 20
(0 0 20), 2θ = 71.44°, I = 18
(2 0 20), 2θ = 86.02°, I = 17

```
data_La2Ga10Ni
_cell_length_a 4.3793
_cell_length_b 4.3793
_cell_length_c 26.3919
_cell_angle_alpha 90.00
_cell_angle_beta 90.00
_cell_angle_gamma 90.00
_symmetry_space_group_name_H-M 'I 4/m m m'
_symmetry_Int_Tables_number 139
_symmetry_space_group_name_Hall '-I 4 2'
loop_
_atom_site_label
_atom_site_fract_x
_atom_site_fract_y
_atom_site_fract_z
La1 0.0000 0.0000 0.1429
Ga1 0.0000 0.0000 0.3038
Ga2 0.0000 0.0000 0.3967
Ga3 0.0000 0.5000 0.0485
Ga4 0.0000 0.5000 0.2500
Ni1 0.0000 0.0000 0.0000
```

=====

Structure and simulated PXRD pattern of Mg2Si (a cell relaxed with PBE; Cu Kα (weighted mean of Kα1 and Kα2)).

Top 12 peaks for 15° ≤ 2θ ≤ 90°, by intensity:
(2 0 2), 2θ = 35.53°, I = 100
(2 0 0), 2θ = 34.87°, I = 96
(2 2 0), 2θ = 45.68°, I = 81
(1 0 -2), 2θ = 34.59°, I = 73
(0 0 3), 2θ = 37.13°, I = 70
(1 2 2), 2θ = 38.12°, I = 68
(1 0 4), 2θ = 47.28°, I = 66
(0 2 2), 2θ = 37.89°, I = 63
(1 -2 2), 2θ = 38.66°, I = 60
└──
Computed powder X-ray diffraction pattern, CuKα. Input: a DFT-relaxed cell (PBE, Alexandria).
Structure and simulated PXRD pattern of NaCuAgSn (a cell relaxed with PBE; Cu Kα (weighted mean of Kα1 and Kα2)).
Structure and simulated PXRD pattern of ZrTc2Rh (a cell relaxed with PBE; Cu Kα (weighted mean of Kα1 and Kα2)).
Structure and simulated PXRD pattern of La2Ga10Ni (a cell relaxed with PBE; Cu Kα (weighted mean of Kα1 and Kα2)).
Structure and simulated PXRD pattern of Mg2Si (a cell relaxed with PBE; Cu Kα (weighted mean of Kα1 and Kα2)).